We take a look at the most common questions asked about property development finance. These questions include lending criteria and the cost of borrowing.

-- begin --
[1]
8
Properties=species:S:1:pos:R:3:mulliken_charge:R:1 method="wB97M-V/def2-TZVPD" energy_ev=-242734.6857 e_lumo_ev="-3.28 / -3.28"
N 0.3755 0.6138 -0.1628 -0.243
P 0.3003 1.2158 -1.7150 0.504
P 0.2856 1.6319 1.2329 0.415
Cl 0.8219 3.1467 -1.3910 -0.032
Br 2.7138 1.5873 1.4263 -0.357
Br -0.3602 0.2183 2.7839 -0.133
Br -2.1762 2.1398 0.4628 -0.514
H -0.2134 -0.2742 -0.0693 0.359

[2]
34
Properties=species:S:1:pos:R:3:mulliken_charge:R:1 method="wB97M-V/def2-TZVPD" energy_ev=-605071.9613 charge=-6 e_lumo_ev="8.35 / 7.24" s2=30.0328 spin_multiplicity=11
Fe -1.8529 -0.9934 -5.4657 0.666
Fe 3.4352 3.2565 -1.6245 0.519
Cl -2.6839 -0.1213 -3.5841 -0.346
Cl -2.3854 -4.5428 5.0884 1.574
O -2.1774 -3.8583 6.3896 -0.697
O -3.2751 -5.5818 5.3041 -0.636
O -2.7653 -3.5186 4.2052 -0.616
O -1.1625 -5.0024 4.5675 -0.625
Cl 1.1483 0.7789 -2.4586 1.595
O 1.4193 0.8796 -1.0692 -0.507
O 2.5169 1.9434 -2.9912 -0.629
O 1.3712 -0.4667 -2.9986 -0.463
O 0.0899 1.6227 -2.9458 -0.454
Cl 0.1163 0.1738 -7.3366 1.556
O 1.1369 -0.2345 -6.5838 -0.403
O -1.0773 0.5937 -6.0569 -0.531
O 0.5119 1.3191 -8.1243 -0.621
O -0.5346 -0.7061 -8.1859 -0.462
Cl 5.9200 -4.2792 2.7547 1.474
O 4.9008 -5.2198 2.5262 -0.568
O 5.6689 -3.1829 1.9989 -0.521
O 6.6024 -3.9781 3.9811 -0.610
O 7.0153 -4.6797 1.8556 -0.775
Cl -3.2885 4.0375 7.7103 1.542
O -4.2307 3.2450 8.4999 -0.684
O -3.3149 5.3077 8.4262 -0.657
O -1.9926 3.4577 7.5637 -0.586
O -3.9887 4.0669 6.4598 -0.616
Br -4.2440 -1.2100 -6.9552 -0.561
Br 3.4475 5.7462 -2.8731 -0.598
Br 4.7316 1.6425 -0.6268 -0.252
Br -1.2351 -3.0834 -6.0380 -0.309
Br 2.1690 4.3658 -0.0822 -0.200
Br -11.9923 8.2221 -1.3309 -1.000

[3]
12
Properties=species:S:1:pos:R:3:mulliken_charge:R:1 method="wB97M-V/def2-TZVPD" energy_ev=-538278.9281 charge=+2 e_lumo_ev=-6.54
Sr -0.6402 2.4086 2.9202 1.567
Sr 3.9518 0.2563 0.4534 1.295
Sr -2.3529 -3.5414 1.2199 1.497
Sr -2.5028 -0.8162 -3.5432 1.472
Cu 0.2688 0.2372 -0.6025 0.994
Br -1.3717 2.6812 0.0087 -0.721
Br 2.3878 -1.4061 -0.9227 -0.698
Br 3.2222 2.6688 -0.5491 -0.678
Br -2.4939 -1.1918 -0.6427 -0.719
Br -1.7298 -2.0906 3.2736 -0.655
Br 1.4013 0.4801 2.2617 -0.691
Br -0.1407 0.3138 -3.8771 -0.663

[4]
8
Properties=species:S:1:pos:R:3:mulliken_charge:R:1 method="wB97M-V/def2-TZVPD" energy_ev=-91812.6257 charge=-1 e_lumo_ev="2.75 / 2.79"
N 1.3068 -1.9693 2.1244 0.756
N 1.6834 -2.4262 1.1825 -0.225
N 3.3567 -1.4513 0.5548 -0.330
O 0.9797 -1.5754 3.2057 -0.556
F -0.6190 0.7870 0.7938 -0.370
Cl 1.0578 1.2944 -1.4040 -0.826
Br 3.3175 0.0387 -0.2359 0.259
H -0.1465 0.8455 0.0551 0.293

[5]
5
Properties=species:S:1:pos:R:3:mulliken_charge:R:1 method="wB97M-V/def2-TZVPD" energy_ev=-93175.8206 e_lumo_ev="-3.50 / -1.56"
F -0.4168 -1.3306 -1.8328 -0.244
Si 0.2615 -1.1433 -0.3423 0.614
Cl 0.4657 -2.7755 0.5219 -0.008
Br 3.9586 0.0938 -0.0221 -0.260
H 1.1855 -0.1251 -0.4739 -0.103

[6]
5
-- stop --

How long will a development finance application take?

There is no set time period as it will depend on a number of factors. These include:

  • How quickly you can return the required documents
  • How quickly a surveyor can complete a valuation
  • The complexity of the development project
  • Whether the lender has any additional questions

┌──
Entry 1:
The following is a quantum chemistry calculation of a single C2H6N2O molecule at a distorted geometry, from OMol25.

Each line ends with the Mulliken charge.
Atoms and positions in Å:
1 C -0.9732 1.0635 -0.1353  -0.669
2 C -0.9069 -0.4490 -0.1117  0.390
3 O -1.8417 -1.1927 0.0322  -0.579
4 N 0.3739 -0.9871 -0.2787  -0.127
5 N 1.5259 -0.1454 -0.0182  -0.584
6 H 0.1986 1.5794 -0.5173  0.324
7 H -2.0184 1.3848 -0.7665  0.265
8 H -1.1091 1.2899 1.1755  0.196
9 H 0.5357 -1.9607 0.0924  0.273
10 H 1.7739 -0.0052 1.0762  0.242
11 H 2.4413 -0.5775 -0.5485  0.269

Cartesian forces, eV/Å:
C 0.2 2.2 1.2
C 1.2 0.2 -0.3
O -0.5 -0.1 0.0
N 2.0 -0.7 1.4
N 2.8 -0.9 0.7
H -4.2 -1.6 1.2
H 3.3 -0.7 2.0
H 0.3 -0.2 -4.2
H -0.9 1.4 -0.7
H -0.8 -0.9 -3.3
H -3.2 1.3 1.9

Calculated values
E_tot: -264.44620 Ha
HOMO: -9.733 eV
SMILES: CC(=O)NN
multiplicity: 1

=====

Entry 2:
The following is a quantum chemistry calculation of a single C2H6N2O molecule at a distorted geometry, from OMol25.

Each line ends with the Mulliken charge.
Atoms and positions in Å:
1 O 0.2581 0.2927 -1.5283  -0.600
2 C 1.0467 -0.3144 -0.5354  -0.144
3 N 0.7704 -0.3728 0.8631  -0.348
4 C -0.3483 0.4501 1.0896  -0.151
5 N -1.4916 0.0073 0.1864  -0.725
6 H 2.0312 -0.5494 -0.7992  0.459
7 H 0.4303 -1.2685 -0.1585  0.349
8 H -0.0849 1.5221 0.8714  0.236
9 H -0.7106 0.4319 2.0941  0.334
10 H -0.8820 0.0826 -0.7686  0.402
11 H -1.9908 -0.8162 0.3151  0.187

Cartesian forces, eV/Å:
O 4.4 -2.3 3.7
C -2.6 4.4 -2.8
N 1.5 -0.6 -3.6
C -4.0 -0.1 -0.4
N 3.0 3.6 -1.5
H 1.4 -0.9 -0.4
H -0.6 -0.9 1.8
H -0.1 -1.0 -0.3
H 0.2 -0.3 0.9
H -2.7 -0.1 1.4
H -0.4 -1.8 1.2

Calculated values
E_tot: -264.36161 Ha
HOMO: -9.030 eV
multiplicity: 1

=====

Q: Which ΔE to the lowest compared entry with this formula, charge and spin values were calculated for the entries above? A: 3.840, 6.142, in eV.

----------

Below is a gas-phase ion, C6H22B2N2O3P (charge -1) at a distorted geometry, with properties calculated with the ωB97M-V functional and the def2-TZVPD basis.

Each line ends with the Mulliken charge.
Element x y z (Å)
C1 -2.072 -0.802 -2.665  -1.210
C2 -1.148 -1.310 -1.467  -0.140
B1 0.055 -0.257 -1.307  0.414
O1 0.505 0.315 -2.532  -0.718
P1 0.913 0.349 0.335  -0.313
C3 -0.561 1.590 0.570  -0.827
C4 -0.319 2.955 -0.172  -0.415
N1 0.256 3.973 0.731  -0.599
C5 0.103 -1.021 1.440  -1.222
O2 -1.226 -0.718 1.938  -0.235
C6 -1.813 -1.937 2.351  -0.766
B2 2.509 -0.772 0.040  0.697
N2 3.053 -1.769 1.041  -0.802
O3 3.308 -0.680 -1.173  -0.729
H1 -1.659 -1.048 -3.647  0.295
H2 -2.096 0.300 -2.581  0.281
H3 -3.108 -1.140 -2.513  0.347
H4 -1.811 -1.383 -0.597  0.097
H5 -0.806 -2.315 -1.783  0.261
H6 1.416 0.592 -2.422  0.354
H7 1.554 0.901 1.553  -0.240
H8 1.626 1.390 -0.454  0.090
H9 -0.670 1.867 1.636  0.444
H10 -1.520 1.211 0.150  0.305
H11 -1.324 3.329 -0.457  0.411
H12 0.232 2.821 -1.118  0.207
H13 -0.166 4.869 0.538  0.202
H14 1.256 4.049 0.610  0.238
H15 0.143 -2.029 0.966  0.435
H16 0.736 -1.103 2.354  0.459
└──

At Esper Wealth we aim to complete the process within six weeks. Our preferred lending partner can help if time is an important consideration.

Generally speaking, the industry standard is on average a lot longer. Underwriting typically takes 3-4 months and then another 4 weeks for the drawdown of funds.

What is the average interest rate on property development finance?

Interest rates vary significantly depending on the project. Smaller loans will carry higher interest rates than larger applications since there isn’t an economy of scale available.

Typical interest rates for the larger most viable projects start at 4.5%. However, a good benchmark would be 7%. Please bear in mind that as funds are not given to you all at one time, you only pay for what your current borrowing is. This has the effect of bringing down the real interest rate.

Are there any other charges on property development finance?

Yes, there are additional charges. These include the following:

  • Lender arrangement fee. This is usually 1-2% of the loan amount.
  • Lender exit fee. This fee is not charged by all lenders. If it is, the rate is 1-2% of the loan amount.
  • Broker fees. Most brokers expect to earn 1% for arranging a property development loan.
  • Surveyor fees. These can vary a lot. They depend on the requirements of the lender.

When do I repay my property development loan?

The loan is usually paid back upon completion of the project. Most developers convert the loan into other finance arrangements at this stage as it is cheap to do so.

It is important to note that the interest is rolled into the loan. The total capital plus interest is repaid when the development is completed.

Can I apply for development finance for any property build?

For most types you can. Esper Wealth works closely with lenders in a range of areas. These include:

  • Environmentally friendly builds
  • New builds
  • Mixed use properties
  • Refurbishment projects
  • Residential and commercial conversions

Can I borrow money as a new property developer?

Yes. Each project is analysed on merit. As a new developer, your application will be considered to be of a higher risk, as you don’t have a track record. This is why it is important to get specialist advice. You can speak with us today to evaluate your options.

Can I get development finance without planning permission?

In short yes. However, it is easier and cheaper with planning permission granted.

Another important consideration is that planning permission increases the value of the plot. With this in mind, you are likely to be able to borrow more with planning permission in place. More importantly, you can start developing straight away, so you pay fewer loan fees.

When should I apply for property development finance?

This depends on a number of factors, which are listed below:

  • Do you already own the land? Or do you need the financing to fund the initial purchase?
  • How soon do you expect to start work?
  • How far along you are in the development forecast? Do you have detailed plans and budgets ready to include on your application?

It is difficult to give an appropriate time, because if you need finance to facilitate the purchase, you may not have planning permission, or detailed plans in place yet.

We recommend getting started with the application as soon as you can. This is because the selected lender will take time to evaluate your proposal before approval.

What costs should I include on an application?

The more the better. Any lender will want to see that you’ve included all of the overheads associated with financing a UK property development. They will also want to see a reserve for any unexpected problems.

We recommend including:

  • Materials, labour and contractors carrying out the building work.
  • Professional fees including solicitors, architects and project managers.
  • Lending fees from your lender. This should include arrangement and exit fees as well as interest payments.

Whilst you might not know the exact cost for every element of your project, it’s important to include provisions and estimates to ensure the development finance value covers the full cost of the project.

Should I Include a contingency figure in my budget?

Yes, yes and yes! Contingencies are expected. There are going to be some unexpected delays and escalating costs. Inflation, for example, is a major concern for developers in the current market.

It is prudent to build in a 20% contingency fee across your whole budget. Lenders understand risk and insist that a contingency fee is incorporated into the budget.

How do building regulations affect my application?

Build regulations mean that every new development or construction must be built to national standards to ensure they are safe for the people living in them.

Most buildings are covered, and you can apply for Building Regulations Approval via the relevant local council. This means you will receive visits from an inspector at key stages of the build.

There are some contractors which will manage the building regulations process for you. They will provide certifications that everything is compliant with existing regulations.

If the builder isn’t managing building regulations inspections, then you will be liable as the property owner. If things go wrong you could be served with an enforcement notice to correct any aspects of the build that don’t comply with health and safety standards.

Four glass pots showing how your money can grow. The first glass pot is empty, the second has some money coins and a tiny plant. The third has more money coins and a larger plant. whilst the final pot on the right is full of money coins and has the largest plant.
using finance to make your money grow

How Can I secure the best deal on development finance?

Our partner is a specialist lender who can secure you the best rate. By fully evaluating your project they can advise you on how to get the best deal for you. There are no upfront costs and you will only pay a broker’s fee if you select finance through them. Contact your property consultant to arrange a free no obligation meeting.

What if I have bad credit?

Any circumstances outside the standard lending criteria mean you will need to consult with a specialist who understands the underwriting requirements of each lender.

Bad credit increases the perceived risk to the lender. However, there are several lenders who will evaluate any project on its merits. In short, bad credit history means you will pay a higher rate unless you can provide extra security.

_Molecular data, kept here for reference_
C12H28GeNa as an isolated structure in a non-equilibrium geometry, computed with ωB97M-V with the def2-TZVPD basis set.

Results
**Kohn-Sham gap (spin up / spin down)**: 0.2441 / 0.2724 Eh
**Total energy**: -73820.3722 eV
**Charge**: +1
**Highest occupied orbital energy (spin up / spin down)**: -12.151 / -12.156 eV
**Energy relative to the best compared isomer or geometry (same formula, charge and spin)**: 385.90 kJ/mol

Last column: natural (NBO) charge in e.
Cartesian coordinates (Å):
Na  1.714418  0.522205  -2.697573  0.924
C  -3.549152  -3.640417  1.725801  -0.616
C  -3.783342  -2.920440  0.390098  -0.390
C  -2.744927  -1.796484  0.076794  -0.412
C  -1.246604  -2.133090  0.199658  -0.767
Ge  0.018318  -0.755840  -0.574813  0.828
C  -0.817090  0.766596  0.444870  -0.794
C  -0.674997  0.889668  1.964196  -0.419
C  -0.863700  2.321863  2.530939  -0.390
C  -2.247126  2.925284  2.399316  -0.637
H  -4.350909  -4.364697  1.972023  0.226
H  -3.492102  -2.956307  2.586425  0.204
H  -2.595491  -4.137517  1.715004  0.206
H  -4.792646  -2.504874  0.295946  0.219
H  -3.724651  -3.698334  -0.437986  0.200
H  -2.944970  -0.861410  0.635012  0.195
H  -2.850952  -1.395806  -0.912422  0.202
H  -1.013085  -2.916297  -0.535281  0.218
H  -0.894909  -2.246855  1.245620  0.233
H  -0.737835  -0.556357  -1.968830  -0.192
H  -1.870485  0.756807  0.131470  0.243
H  -0.397232  1.712870  0.044864  0.204
H  0.329582  0.542590  2.302928  0.201
H  -1.428356  0.254009  2.493787  0.209
H  -0.159429  2.954828  1.980663  0.185
H  -0.443753  2.329488  3.543808  0.221
H  -2.847349  2.773811  1.496265  0.210
H  -2.090018  4.004692  2.430167  0.220
H  -2.992046  2.741570  3.181841  0.221
C  4.037591  2.141023  -1.656607  -0.612
C  4.381056  0.864774  -2.368078  -0.352
C  4.128031  -0.399787  -1.501197  -0.638
C  3.795169  0.837203  -3.696317  -0.366
H  4.673954  2.313183  -0.746384  0.249
H  3.002766  2.219779  -1.326539  0.181
H  4.226378  3.025570  -2.336099  0.235
H  5.448958  0.834719  -2.646761  0.271
H  3.399748  -0.132567  -0.705564  0.208
H  5.118559  -0.688652  -1.088910  0.261
H  3.786606  -1.263650  -2.048321  0.215
H  3.610558  -0.076822  -4.208376  0.187
H  3.881464  1.713669  -4.331438  0.208

Forces on the atoms, in the same order (eV/Å):
-0.704 -0.074 0.188
-0.662 0.487 0.375
0.775 -0.680 -1.020
0.283 1.085 0.564
0.878 -0.407 -0.399
-3.078 0.347 1.306
1.135 1.833 -0.189
-0.155 -0.708 1.140
0.687 -0.837 -0.904
-0.786 1.170 0.399
0.493 0.309 -0.348
-0.169 0.087 -0.318
0.340 -0.485 -0.090
0.206 0.072 0.227
0.024 0.857 0.878
-0.130 -0.742 0.479
-0.548 -0.262 -1.035
-0.138 -0.768 1.077
-0.219 -0.670 -0.755
0.761 0.091 -0.309
0.306 -0.207 -0.126
-0.291 -0.259 -0.018
-0.621 0.100 -0.274
0.609 0.116 -0.492
-0.063 0.101 -0.117
-0.611 0.036 0.043
0.715 -0.416 -0.335
-0.244 0.141 0.046
0.560 -0.404 0.283
1.487 2.061 0.414
0.329 -1.023 0.116
0.729 0.876 0.464
-0.206 0.661 -1.213
-0.636 -0.271 -0.777
-0.269 -0.189 0.057
-0.221 -0.884 0.750
0.173 0.330 0.446
0.553 -0.473 -0.138

What are the benefits of offering a larger deposit?several lenders will

Development finance is very similar to other lending. If you are seen as a lower risk you can get a cheaper rate. The bigger deposit you give means a lower loan to value rate. This means less risk to the lender, which means a lower interest rate for you.

However, deposits aren’t the only consideration. It might be more cost-effective to offer a lower deposit if that means you have a higher contingency fund.

What about bridging finance?

There are some alternatives to development finance. Bridging loans are the most common. This is a short-term loan, where the borrowing is in a lump sum, as opposed to stage payments. Bridging finance is more expensive compared to development finance. Sometimes developers use this finance option if they don’t have planning permission.

Esper Wealth

You can find out more about development finance by clicking here. We work with developers to find funding solutions for their projects. Contact us today to see how we can help you to fund your next project.